**Entries**
/*
# 1
{
  "formula": "C38H39ClN3O",
  "method": "wB97M-V/def2-TZVPD",
  "symbols": ["C", "C", "N", "C", "C", "C", "C", "C", "C", "C", "C", "C", "C", "C", "C", "C", "N", "C", "C", "C", "C", "C", "C", "C", "C", "C", "C", "H", "H", "H", "H", "H", "H", "H", "H", "H", "H", "H", "H", "H", "H", "H", "H", "H", "H", "H", "H", "H", "H", "H", "H", "H", "H", "H", "H", "H", "Cl", "C", "C", "C", "C", "N", "C", "C", "C", "C", "C", "C", "C", "C", "O", "C", "H", "H", "H", "H", "H", "H", "H", "H", "H", "H"],
  "positions_angstrom": [[5.809, 0.051, 4.545], [5.251, 1.071, 5.525], [3.862, 1.429, 5.246], [3.400, 2.697, 5.806], [2.078, 3.136, 5.209], [1.048, 2.019, 5.328], [1.579, 0.744, 4.772], [2.984, 0.492, 4.794], [3.442, -0.768, 4.297], [2.550, -1.659, 3.743], [1.158, -1.387, 3.607], [0.344, -2.305, 2.903], [-1.057, -2.182, 2.698], [-1.864, -3.341, 2.500], [-3.238, -3.288, 2.398], [-3.908, -2.026, 2.442], [-5.257, -1.942, 2.293], [-6.028, -3.099, 1.845], [-5.506, -4.399, 2.435], [-4.004, -4.551, 2.204], [-5.927, -0.646, 2.220], [-5.210, 0.403, 3.048], [-3.747, 0.493, 2.634], [-3.112, -0.850, 2.575], [-1.737, -0.938, 2.624], [0.708, -0.194, 4.255], [4.878, -1.152, 4.402], [5.945, 0.515, 3.560], [6.789, -0.289, 4.890], [5.334, 0.652, 6.546], [5.848, 1.992, 5.512], [3.296, 2.615, 6.903], [4.177, 3.450, 5.626], [1.719, 4.039, 5.710], [2.214, 3.388, 4.149], [0.778, 1.884, 6.387], [0.129, 2.299, 4.797], [2.915, -2.639, 3.435], [0.815, -3.247, 2.608], [-1.375, -4.317, 2.523], [-7.073, -2.939, 2.128], [-6.010, -3.175, 0.741], [-5.712, -4.433, 3.511], [-6.028, -5.245, 1.978], [-3.833, -4.901, 1.174], [-3.604, -5.334, 2.863], [-5.990, -0.306, 1.170], [-6.958, -0.783, 2.565], [-5.699, 1.372, 2.933], [-5.263, 0.140, 4.111], [-3.656, 0.966, 1.643], [-3.200, 1.136, 3.339], [-1.165, -0.014, 2.650], [-0.361, -0.048, 4.407], [5.160, -1.726, 3.511], [5.023, -1.817, 5.269], [4.672, 0.784, 1.379], [4.117, -0.450, 0.310], [5.013, -1.348, -0.263], [4.475, -2.309, -1.127], [3.126, -2.367, -1.393], [2.250, -1.508, -0.769], [0.896, -1.668, -1.017], [-0.092, -0.715, -0.671], [-1.427, -0.789, -1.390], [-2.279, 0.320, -1.261], [-3.575, 0.298, -1.776], [-4.025, -0.828, -2.481], [-3.162, -1.907, -2.695], [-1.866, -1.884, -2.159], [0.053, 0.157, 0.223], [2.758, -0.520, 0.060], [6.071, -1.308, -0.024], [5.107, -3.051, -1.599], [2.674, -3.059, -2.105], [0.679, -2.412, -1.776], [-1.924, 1.209, -0.734], [-4.229, 1.157, -1.614], [-5.046, -0.861, -2.866], [-3.498, -2.778, -3.263], [-1.200, -2.729, -2.326], [2.070, 0.186, 0.503]],
  "mulliken_charge": [-0.629, -0.675, 0.053, -0.642, -0.871, -0.883, 0.637, 0.323, 0.414, -0.856, 0.427, -0.601, 0.741, -0.911, 0.266, 0.318, 0.000, -0.604, -0.861, -0.963, -0.622, -1.014, -0.658, -0.042, -0.783, -1.158, -0.964, 0.099, 0.389, 0.254, 0.432, 0.296, 0.423, 0.390, 0.310, 0.328, 0.341, 0.471, 0.420, 0.464, 0.407, 0.275, 0.321, 0.368, 0.318, 0.437, 0.271, 0.442, 0.395, 0.323, 0.233, 0.379, 0.833, 1.198, 0.319, 0.382, -0.188, 0.493, -0.400, -0.515, -0.315, 0.284, -0.791, 1.258, 0.274, -0.275, -0.515, -0.486, -0.867, -0.263, -0.797, -0.869, 0.471, 0.398, 0.363, 0.055, 0.412, 0.422, 0.418, 0.400, 0.299, 0.776],
  "total_charge": 1,
  "molar_mass_g_mol": 589.20,
  "total_energy_ev": -59073.873,
  "multiplicity": 1,
  "homo_lumo_gap_ha": 0.2090
}



# 2
{
  "formula": "C38H39IO4P2",
  "method": "wB97M-V/def2-TZVPD",
  "symbols": ["O", "C", "C", "C", "C", "C", "C", "C", "C", "O", "C", "C", "C", "C", "C", "C", "H", "H", "H", "H", "H", "H", "H", "H", "O", "C", "C", "C", "C", "C", "C", "C", "C", "O", "C", "C", "C", "C", "C", "C", "H", "H", "H", "H", "H", "H", "H", "H", "C", "C", "C", "C", "C", "P", "C", "C", "C", "I", "P", "C", "C", "H", "H", "H", "H", "H", "H", "H", "H", "H", "H", "H", "H", "H", "H", "H", "H", "H", "H", "H", "H", "H", "H", "H"],
*/

**What to do**
The reader should copy all of the lines further above without altering anything.

**Completed**
# 1
{
  "formula": "C38H39ClN3O",
  "method": "wB97M-V/def2-TZVPD",
  "symbols": ["C", "C", "N", "C", "C", "C", "C", "C", "C", "C", "C", "C", "C", "C", "C", "C", "N", "C", "C", "C", "C", "C", "C", "C", "C", "C", "C", "H", "H", "H", "H", "H", "H", "H", "H", "H", "H", "H", "H", "H", "H", "H", "H", "H", "H", "H", "H", "H", "H", "H", "H", "H", "H", "H", "H", "H", "Cl", "C", "C", "C", "C", "N", "C", "C", "C", "C", "C", "C", "C", "C", "O", "C", "H", "H", "H", "H", "H", "H", "H", "H", "H", "H"],
  "positions_angstrom": [[5.809, 0.051, 4.545], [5.251, 1.071, 5.525], [3.862, 1.429, 5.246], [3.400, 2.697, 5.806], [2.078, 3.136, 5.209], [1.048, 2.019, 5.328], [1.579, 0.744, 4.772], [2.984, 0.492, 4.794], [3.442, -0.768, 4.297], [2.550, -1.659, 3.743], [1.158, -1.387, 3.607], [0.344, -2.305, 2.903], [-1.057, -2.182, 2.698], [-1.864, -3.341, 2.500], [-3.238, -3.288, 2.398], [-3.908, -2.026, 2.442], [-5.257, -1.942, 2.293], [-6.028, -3.099, 1.845], [-5.506, -4.399, 2.435], [-4.004, -4.551, 2.204], [-5.927, -0.646, 2.220], [-5.210, 0.403, 3.048], [-3.747, 0.493, 2.634], [-3.112, -0.850, 2.575], [-1.737, -0.938, 2.624], [0.708, -0.194, 4.255], [4.878, -1.152, 4.402], [5.945, 0.515, 3.560], [6.789, -0.289, 4.890], [5.334, 0.652, 6.546], [5.848, 1.992, 5.512], [3.296, 2.615, 6.903], [4.177, 3.450, 5.626], [1.719, 4.039, 5.710], [2.214, 3.388, 4.149], [0.778, 1.884, 6.387], [0.129, 2.299, 4.797], [2.915, -2.639, 3.435], [0.815, -3.247, 2.608], [-1.375, -4.317, 2.523], [-7.073, -2.939, 2.128], [-6.010, -3.175, 0.741], [-5.712, -4.433, 3.511], [-6.028, -5.245, 1.978], [-3.833, -4.901, 1.174], [-3.604, -5.334, 2.863], [-5.990, -0.306, 1.170], [-6.958, -0.783, 2.565], [-5.699, 1.372, 2.933], [-5.263, 0.140, 4.111], [-3.656, 0.966, 1.643], [-3.200, 1.136, 3.339], [-1.165, -0.014, 2.650], [-0.361, -0.048, 4.407], [5.160, -1.726, 3.511], [5.023, -1.817, 5.269], [4.672, 0.784, 1.379], [4.117, -0.450, 0.310], [5.013, -1.348, -0.263], [4.475, -2.309, -1.127], [3.126, -2.367, -1.393], [2.250, -1.508, -0.769], [0.896, -1.668, -1.017], [-0.092, -0.715, -0.671], [-1.427, -0.789, -1.390], [-2.279, 0.320, -1.261], [-3.575, 0.298, -1.776], [-4.025, -0.828, -2.481], [-3.162, -1.907, -2.695], [-1.866, -1.884, -2.159], [0.053, 0.157, 0.223], [2.758, -0.520, 0.060], [6.071, -1.308, -0.024], [5.107, -3.051, -1.599], [2.674, -3.059, -2.105], [0.679, -2.412, -1.776], [-1.924, 1.209, -0.734], [-4.229, 1.157, -1.614], [-5.046, -0.861, -2.866], [-3.498, -2.778, -3.263], [-1.200, -2.729, -2.326], [2.070, 0.186, 0.503]],
  "mulliken_charge": [-0.629, -0.675, 0.053, -0.642, -0.871, -0.883, 0.637, 0.323, 0.414, -0.856, 0.427, -0.601, 0.741, -0.911, 0.266, 0.318, 0.000, -0.604, -0.861, -0.963, -0.622, -1.014, -0.658, -0.042, -0.783, -1.158, -0.964, 0.099, 0.389, 0.254, 0.432, 0.296, 0.423, 0.390, 0.310, 0.328, 0.341, 0.471, 0.420, 0.464, 0.407, 0.275, 0.321, 0.368, 0.318, 0.437, 0.271, 0.442, 0.395, 0.323, 0.233, 0.379, 0.833, 1.198, 0.319, 0.382, -0.188, 0.493, -0.400, -0.515, -0.315, 0.284, -0.791, 1.258, 0.274, -0.275, -0.515, -0.486, -0.867, -0.263, -0.797, -0.869, 0.471, 0.398, 0.363, 0.055, 0.412, 0.422, 0.418, 0.400, 0.299, 0.776],
  "total_charge": 1,
  "molar_mass_g_mol": 589.20,
  "total_energy_ev": -59073.873,
  "multiplicity": 1,
  "homo_lumo_gap_ha": 0.2090
}



# 2
{
  "formula": "C38H39IO4P2",
  "method": "wB97M-V/def2-TZVPD",
  "symbols": ["O", "C", "C", "C", "C", "C", "C", "C", "C", "O", "C", "C", "C", "C", "C", "C", "H", "H", "H", "H", "H", "H", "H", "H", "O", "C", "C", "C", "C", "C", "C", "C", "C", "O", "C", "C", "C", "C", "C", "C", "H", "H", "H", "H", "H", "H", "H", "H", "C", "C", "C", "C", "C", "P", "C", "C", "C", "I", "P", "C", "C", "H", "H", "H", "H", "H", "H", "H", "H", "H", "H", "H", "H", "H", "H", "H", "H", "H", "H", "H", "H", "H", "H", "H"],